Friday, April 15, 2005

Much About Mitch: Why Don't More Think There Should Be An Albom Cut At The "Free Press"

• Records of crystals from another source follow:
~~~
(1)
Starting from a cell relaxed with GGA-PBE, the powder diffraction line list of Rb2MgV2Cu4S8 was simulated for λ = 1.5418 Å (Cu Kα).
No peak broadening, texture or thermal motion is included.

Principal peaks in the range 2θ = 15–90°, low angle first:
two_theta, intensity
15.0, 77
22.0, 48
28.2, 70
28.4, 48
29.2, 100
32.1, 55
44.8, 56
45.0, 55
48.8, 44
50.1, 52

Crystal structure
Lattice parameters (Å, degrees): 5.5487 7.4618 9.9643 90.00 105.82 90.00
Fractional positions:
Rb1 0.0000 0.0000 0.0000
Rb2 0.3981 0.5000 0.7502
Mg1 0.7839 0.5000 0.4031
V1 0.3199 0.5000 0.1436
V2 0.5339 0.0000 0.5820
Cu1 0.0334 0.0000 0.5760
Cu2 0.4329 0.2411 0.3616
Cu3 0.4329 0.7589 0.3616
Cu4 0.8142 0.5000 0.1330
S1 0.1883 0.5000 0.3440
S2 0.2042 0.0000 0.3881
S3 0.3869 0.0000 0.7642
S4 0.5687 0.2585 0.1624
S5 0.5687 0.7415 0.1624
S6 0.7690 0.2472 0.5718
S7 0.7690 0.7528 0.5718
S8 0.9969 0.5000 0.9575

***

(2)
Starting from a cell relaxed with GGA-PBE, the powder diffraction line list of MgCu2S2 was simulated for λ = 1.5418 Å (Cu Kα).
No peak broadening, texture or thermal motion is included.

Principal peaks in the range 2θ = 15–90°, low angle first:
two_theta, intensity
26.3, 39
28.0, 100
31.9, 36
34.6, 69
39.9, 26
41.0, 20
44.7, 33
46.8, 94
54.5, 26
63.1, 37

Crystal structure
Lattice parameters (Å, degrees): 7.1466 7.1466 7.1466 31.51 31.51 31.51
Fractional positions:
Mg1 0.0000 0.0000 0.0000
Cu1 0.2300 0.2300 0.2300
Cu2 0.7791 0.7791 0.7791
S1 0.1180 0.1180 0.1180
S2 0.6091 0.6091 0.6091

***

(3)
Starting from a cell relaxed with GGA-PBE, the powder diffraction line list of MgCu6S6 was simulated for λ = 1.5418 Å (Cu Kα).
No peak broadening, texture or thermal motion is included.

Principal peaks in the range 2θ = 15–90°, low angle first:
two_theta, intensity
18.9, 40
27.7, 28
28.5, 24
28.9, 27
30.8, 100
33.4, 45
39.9, 49
47.7, 36
48.1, 94
56.9, 18

Crystal structure
Lattice parameters (Å, degrees): 3.7800 3.7800 18.7768 90.00 90.00 120.00
Fractional positions:
Mg1 0.0000 0.0000 0.0000
Cu1 0.3333 0.6667 0.2036
Cu2 0.3333 0.6667 0.5529
Cu3 0.3333 0.6667 0.8690
Cu4 0.6667 0.3333 0.1234
Cu5 0.6667 0.3333 0.3932
Cu6 0.6667 0.3333 0.6454
S1 0.0000 0.0000 0.2378
S2 0.0000 0.0000 0.3557
S3 0.0000 0.0000 0.6789
S4 0.0000 0.0000 0.8740
S5 0.3333 0.6667 0.0680
S6 0.6667 0.3333 0.5131


Structure and simulated powder XRD pattern of BeFePtW2 (a crystal structure in Alexandria, relaxed with GGA-PBE; Cu Kα X-rays).
Intensities are scaled so that the largest is 1000.

Top 8 peaks for 15° ≤ 2θ ≤ 90°, by angle:
| 2θ/deg | intensity |
| --- | --- |
| 37.66 | 1000 |
| 43.42 | 349 |
| 44.43 | 163 |
| 63.08 | 116 |
| 63.87 | 223 |
| 75.85 | 261 |
| 77.30 | 124 |
| 80.40 | 117 |

Structure:
Cell: 4.1683 4.1683 4.0776 Å, 90.00 90.00 90.00°
Positions (direct):
Be 0.0000 0.0000 0.0000
Fe 0.5000 0.5000 0.5000
Pt 0.0000 0.0000 0.5000
W 0.0000 0.5000 0.0000
W 0.5000 0.0000 0.0000

***
~~~
• Here the page continues:

Maybe I'm missing something. Or perhaps the media have been so beaten down by the Jayson Blairs, the Jack Kellys and their odious ilk to muster sufficent outrage over the fact that Mitch Albom submitted an advance column about something that wound up never happening, but he penned it as if he was right there all along.

Albom made the mistake that even most pimply-faced cub reporters wouldn't attempt, let alone an award-winning, millionaire Friend Of Oprah columnist.

# Records of crystals, as found in the file
-- begin --
Entry 1:
The following is a calculated powder diffractogram of NdLuAlTc. It was derived from the GGA-PBE geometry in Alexandria, using λ = 1.5418 Å (Cu Kα).

Most intense lines, 2θ = 15–90°, most intense first:
2θ (°)	I/Imax	h k l
35.9	100	2 2 0
64.5	36	4 2 2
25.2	22	2 0 0
51.6	18	4 0 0
87.0	16	6 2 0
76.0	11	4 4 0
58.3	9	4 2 0
21.7	8	1 1 1
44.3	7	2 2 2
81.6	5	6 0 0

Structure:
```
data_NdLuAlTc
_space_group_name_H-M_alt 'F -4 3 m'
_space_group_IT_number 216
_space_group_name_Hall 'F -4 2 3'
_cell_length_a 7.0814
_cell_length_b 7.0814
_cell_length_c 7.0814
_cell_angle_alpha 90.00
_cell_angle_beta 90.00
_cell_angle_gamma 90.00
loop_
_atom_site_label
_atom_site_type_symbol
_atom_site_fract_x
_atom_site_fract_y
_atom_site_fract_z
_atom_site_occupancy
Nd1 Nd 0.0000 0.0000 0.0000 1
Lu1 Lu 0.0000 0.0000 0.5000 1
Al1 Al 0.2500 0.2500 0.2500 1
Tc1 Tc 0.2500 0.2500 0.7500 1
```

---

Entry 2:
The following is a calculated powder diffractogram of LuAl8Ni3. It was derived from the GGA-PBE geometry in Alexandria, using λ = 1.5418 Å (Cu Kα).

Most intense lines, 2θ = 15–90°, most intense first:
2θ (°)	I/Imax	h k l
35.4	100	2 1 1
32.6	84	1 1 3
17.6	57	1 0 2
41.2	53	1 1 5
25.4	47	2 0 0
39.1	47	0 1 5
49.5	39	3 1 3
47.9	34	0 2 0
45.6	32	2 0 6
24.2	32	0 1 1

Structure:
```
data_LuAl8Ni3
_space_group_name_H-M_alt 'A m m 2'
_space_group_IT_number 38
_space_group_name_Hall 'A 2 -2'
_cell_length_a 7.0209
_cell_length_b 3.7971
_cell_length_c 14.4898
_cell_angle_alpha 90.00
_cell_angle_beta 90.00
_cell_angle_gamma 90.00
loop_
_atom_site_label
_atom_site_type_symbol
_atom_site_fract_x
_atom_site_fract_y
_atom_site_fract_z
_atom_site_occupancy
Lu1 Lu 0.0000 0.0000 0.0000 1
Al1 Al 0.0000 0.0000 0.8019 1
Al2 Al 0.1988 0.0000 0.1946 1
Al3 Al 0.2834 0.0000 0.3695 1
Al4 Al 0.3089 0.0000 0.5676 1
Al5 Al 0.5000 0.0000 0.9534 1
Ni1 Ni 0.0000 0.0000 0.6395 1
Ni2 Ni 0.5000 0.0000 0.1195 1
Ni3 Ni 0.5000 0.0000 0.7780 1
```

---

Entry 3:
The following is a calculated powder diffractogram of LuScAlPd. It was derived from the GGA-PBE geometry in Alexandria, using λ = 1.5418 Å (Cu Kα).

Most intense lines, 2θ = 15–90°, most intense first:
2θ (°)	I/Imax	h k l
37.0	100	2 2 0
22.4	44	1 1 1
66.7	35	4 2 2
43.7	24	3 1 1
53.4	17	4 0 0
78.8	11	4 4 0
58.6	10	3 3 1
83.2	8	5 3 1
71.4	8	5 1 1
25.9	7	2 0 0

Structure:
```
data_LuScAlPd
_space_group_name_H-M_alt 'F -4 3 m'
_space_group_IT_number 216
_space_group_name_Hall 'F -4 2 3'
_cell_length_a 6.8676
_cell_length_b 6.8676
_cell_length_c 6.8676
_cell_angle_alpha 90.00
_cell_angle_beta 90.00
_cell_angle_gamma 90.00
loop_
_atom_site_label
_atom_site_type_symbol
_atom_site_fract_x
_atom_site_fract_y
_atom_site_fract_z
_atom_site_occupancy
Lu1 Lu 0.0000 0.0000 0.0000 1
Sc1 Sc 0.0000 0.0000 0.5000 1
Al1 Al 0.2500 0.2500 0.2500 1
Pd1 Pd 0.2500 0.2500 0.7500 1
```

---

Entry 4:
The following is a calculated powder diffractogram of PrLu2Al. It was derived from the GGA-PBE geometry in Alexandria, using λ = 1.5418 Å (Cu Kα).
-- stop --

The reaction of editors has been, to say the very least, puzzling. Editor & Publisher's Joe Strupp recently polled a bunch of them at the ASNE convention, and only one came right out and said Albom should be canned outright.

"It is dishonest, and if you look at what we do, that is one of the things we cannot afford to do," said Rocky Mountain News editor and publisher John Temple, who nevertheless eqivocated on whether Albom should be ousted.

Then you have to wonder about guys like Bill Thomas, editor of the Record-Eagle in Traverse City, MI, who called Albom "sloppy," but praised him as "an accomplished writer who is entitled to one mistake."
Thomas is assuming there is just one mistake. But even if it's just this transgression, shouldn't that be enough when fiction masquerades as a column?

To be sure, Albom has engendered less sympathy in the trenches -- to a point. Aaron Bracy, who writes for the Courier-Post in suburban Philadelphia, took Albom to task for further widening the credibility gap between the media and readers, but said if this is a one-time offense, let it pass and have Albom and others learn from what happened. All well and good, but if Albom needs to learn not to deceive readers, does he really deserve his column?

Fortunately, the blogosphere has no shortage of seeing this issue for what it is. Among them is Bill Gallagher:

He could have written the piece in a number of different ways or he could have chosen to write about something else. His editors would have taken anything Lord Albom deigned to submit. But it's clear he followed his appetite for mushy, feel-good stuff and fictionalized the scene accordingly.

Then there are bloggers who think they know what they are talking about, but stumble badly when trying to spew out their tired left-leaning media conspiracy bromides to explain away Albom. Such is James Joyner's

I would point out that columns and even straight news stories are written ALL THE TIME as if the story had already happened. It's not unusual to get a story from the wire services or major newspapers written several hours before, say, a presidential speech that already has the quotes (via advance copy) of what the president will say and, indeed, (via reactions to the advance copy) the reaction of Democratic opponents and Republican supporters.

Yes, and no. In his rush to make the facts fit his opinion, Joyner leaves out a crucial element. While the stories are written before the speech is delivered, they say so ("In remarks prepared for delivery tonight, the president said....."). There's no deception. The stories are advancers and everybody knows that up front. If the president deviated from the script, the story can be updated in later editions. Albom didn't provide himself any wiggle room, and when the events he described didn't pan out, he made himself and the Detroit Free Press look foolish.

Joyner then launches a non-sequitur missile when he argues what Albom did was akin to writing obituaries in advance of somebody dying. What he conveniently forgets, or maybe never knew, is that newspapers didn't tell you the pope died before he actually did. Writers of non-fiction don't assume.

In a conclusion that only someone who gives the impression that they've never set foot inside a newsroom could make, Joyner says what Albom did was "not unethical, unprofessional or unusual."

Let's hope Albom's bosses at the Free Press don't feel the same.


Paulsouth said...

**Attached: records of crystals**
- - -
This entry pairs a crystal structure of DyTh2Te6 with its calculated X-ray powder pattern. Radiation: Cu Kα (weighted mean of Kα1 and Kα2). Structure: a structure optimized by DFT (PBE).
Kinematic intensities with the Lorentz-polarization factor, no thermal factor.

Cell: 7.3584 7.3584 13.7214 Å, 90.00 90.00 90.00°
Space group P4_2/mnm (No. 136)
One atom of each set of equivalent atoms:
Dy (0.0000, 0.0000, 0.0000)
Th (0.0000, 0.0000, 0.3317)
Te (0.2008, 0.2008, 0.1628)
Te (0.2024, 0.2024, 0.5000)

The 10 most intense peaks (5 to 70 degrees two-theta), in order of falling intensity:
2θ (°)	Rel. int.	hkl
33.55	100.0	2 1 3
17.04	94.4	1 1 0
25.94	72.2	1 1 3
41.79	62.9	3 0 3
34.47	45.6	2 2 0
22.89	30.1	1 0 3
53.34	26.3	2 2 6
67.77	25.4	3 3 6
39.40	23.4	0 0 6
27.10	23.4	2 1 0

~~~~~

Diffraction record for Ho3Er2LuSb2Os. The X-ray powder pattern is calculated, not measured: it uses a crystal structure in OQMD, relaxed with GGA-PBE and Cu Kα (weighted mean of Kα1 and Kα2).

Structural model:
```
Ho3Er2LuSb2Os
1.0
4.184 0.000 0.000
0.000 7.049 4.054
0.000 -7.049 4.054
Ho Er Lu Sb Os
3 2 1 2 1
direct
0.000 0.000 0.000
0.000 0.523 0.762
0.000 0.762 0.523
0.500 0.154 0.763
0.500 0.763 0.154
0.500 0.374 0.374
0.000 0.097 0.429
0.000 0.429 0.097
0.500 0.758 0.758
```

Main lines, low angle first (2θ from 10° to 80°):
2θ (°), intensity
12.6, 21
30.7, 100
33.3, 81
33.7, 34
38.4, 27
40.2, 32
43.3, 27
55.9, 24
59.2, 23
61.5, 22

Diffraction record for HoEr4Lu2Te2Pd2. The X-ray powder pattern is calculated, not measured: it uses a crystal structure in OQMD, relaxed with GGA-PBE and Cu Kα (weighted mean of Kα1 and Kα2).

Structural model:
```
HoEr4Lu2Te2Pd2
1.0
-1.961 7.765 4.770
1.961 -7.765 4.770
1.961 7.765 -4.770
Ho Er Lu Te Pd
1 4 2 2 2
direct
0.000 0.000 0.000
0.091 0.735 0.356
0.380 0.735 0.644
0.453 0.584 0.870
0.714 0.584 0.130
0.058 0.375 0.683
0.692 0.375 0.317
0.339 0.339 0.000
0.735 0.235 0.500
0.305 0.068 0.236
0.832 0.068 0.764
```

Main lines, low angle first (2θ from 10° to 80°):
2θ (°), intensity
28.6, 32
30.1, 49
30.3, 22
33.1, 62
33.8, 100
34.3, 52
36.4, 23
38.2, 21
46.3, 29
58.1, 30

~~~~~

# 1
# Ba3AlAg
Calculated powder XRD pattern, Cu Kα (λ = 1.5418 Å). Input: a cell relaxed with GGA-PBE.
Peak positions follow from Bragg's law for the DFT cell and can differ from measured ones.

Structural model:
```
Ba3AlAg
1.0
9.759 0.000 0.000
0.000 4.681 0.000
-3.758 0.000 9.166
Ba Al Ag
6 2 2
direct
0.093 0.250 0.227
0.310 0.250 0.926
0.356 0.750 0.585
0.644 0.250 0.415
0.690 0.750 0.074
0.907 0.750 0.773
0.040 0.250 0.567
0.960 0.750 0.433
0.371 0.750 0.204
0.629 0.250 0.796
```

Principal peaks in the range 10° ≤ 2θ ≤ 90°, sorted by position:
2theta	I/Imax
25.03	100
26.48	35
27.03	40
27.23	32
27.45	62
29.02	60
29.68	26
33.22	25
34.37	27
38.46	36


# 2
# KTl2CdHg4
Calculated powder XRD pattern, Cu Kα (λ = 1.5418 Å). Input: a cell relaxed with GGA-PBE.
Peak positions follow from Bragg's law for the DFT cell and can differ from measured ones.
- - -

Hi Steve, something on your page caused my computer to seize up... I wonder what it was?

Steve Gosset said...

Not aware of there being anything amiss on my end. Might have been a momentary glitch. Sorry.